Cyberlesson by Mrs. Davis for class 4-315
Integration of Knowledge & Ideas: CCSS.ELA-Literacy.CCRA.R.9 Analyze how two or more texts address similar themes or topics in order to build knowledge or to compare the approaches the authors take.CCSS.ELA-Literacy.CCRA.R.9 LET’S FIRST WATCH THIS BRAINPOP VIDEO ABOUT COLUMBUS: moushistoricalfigures/christophercolumbus/ “How do we learn about the past by reading different types of stories?”
Someone pasted materials data at this point:
/*
Material: CdFeAu
Method: DFT, PBE
State: relaxed

Cell: 6.1806 6.1806 6.1806 Å, 90.00 90.00 90.00°
Space group F-43m (No. 216)
Inequivalent atoms, fractional coordinates:
1 Cd 0.0000 0.0000 0.0000
2 Fe 0.2500 0.2500 0.7500
3 Au 0.0000 0.0000 0.5000

Properties
The relative energy among the computed polymorphs comes out at 233 meV/atom. As for the total magnetic moment: 3.0 μB per formula unit. For the calculated density, the calculation gives 10.27 g/cm3. The value obtained for the total energy is -3.8492 eV/atom. The crystal system is cubic. The energy relative to the elements comes out at 369.2 meV/atom.


Material: Cd2FeAu
Method: DFT, PBE
State: relaxed

Cell: 6.6121 6.6121 6.6121 Å, 90.00 90.00 90.00°
Space group F-43m (No. 216)
Inequivalent atoms, fractional coordinates:
1 Cd 0.0000 0.0000 0.0000
2 Cd 0.2500 0.2500 0.2500
3 Fe 0.2500 0.2500 0.7500
4 Au 0.0000 0.0000 0.5000

Properties
The relative energy among the computed polymorphs comes out at 88 meV/atom. As for the total magnetic moment: 3.0 μB per formula unit. For the calculated density, the calculation gives 10.97 g/cm3. The value obtained for the total energy is -3.1956 eV/atom. The crystal system is cubic. The energy relative to the elements comes out at 196.9 meV/atom.


Material: Cd2FeAu
Method: DFT, PBE
State: relaxed

Cell: 2.9961 2.9961 8.1007 Å, 90.00 90.00 90.00°
Space group P4mm (No. 99)
Inequivalent atoms, fractional coordinates:
1 Cd 0.0000 0.0000 0.0000
2 Cd 0.5000 0.5000 0.2932
3 Fe 0.0000 0.0000 0.5280
4 Au 0.5000 0.5000 0.7377

Properties
The relative energy among the computed polymorphs comes out at 0 meV/atom. As for the total magnetic moment: 2.9 μB per formula unit. For the calculated density, the calculation gives 10.91 g/cm3. The value obtained for the total energy is -3.2838 eV/atom. The crystal system is tetragonal. The energy relative to the elements comes out at 108.8 meV/atom.


Material: Cd2FeAu
Method: DFT, PBE
State: relaxed

Cell: 9.6234 2.9411 5.1764 Å, 90.00 100.61 90.00°
Space group C2/m (No. 12)
Inequivalent atoms, fractional coordinates:
1 Cd 0.2452 0.0000 0.2422
2 Fe 0.0000 0.5000 0.0000
3 Au 0.0000 0.0000 0.5000

Properties
The relative energy among the computed polymorphs comes out at 83 meV/atom. As for the total magnetic moment: 2.8 μB per formula unit. For the calculated density, the calculation gives 11.02 g/cm3. The value obtained for the total energy is -3.2005 eV/atom. The crystal system is monoclinic. The energy relative to the elements comes out at 192.0 meV/atom.


Material: CdFeAu
Method: DFT, PBE
State: relaxed

Cell: 2.9315 2.9315 11.8622 Å, 90.00 90.00 90.00°
Space group I4mm (No. 107)
Inequivalent atoms, fractional coordinates:
1 Cd 0.0000 0.0000 0.0000
2 Fe 0.0000 0.0000 0.6644
3 Au 0.0000 0.0000 0.3128

Properties
*/
I CAN LEARN ABOUT THE PAST BY READING DIFFERENT TYPES OF STORIES I ntegration of Knowledge & Ideas: CCSS.ELA-Literacy.CCRA.R.9 Analyze how two or more texts address similar themes or topics in order to build knowledge or to compare the approaches the authors take. CCSS.ELA-Literacy.CCRA.R.9 “How do we learn about the past by reading different types of stories?”
CONSIDERING COLUMBUS’ “ENCOUNTER” WITH NATIVE AMERICANS FROM A TAINO BOY’S POINT OF VIEW DECIDING HOW NEW PERSPECTIVES INFLUENCE & CHANGE OUR OWN THINKING ABOUT THE PAST Key Ideas and Details: CCSS.ELA-Literacy.CCRA.R.1 CCSS.ELA-Literacy.CCRA.R.1 Read closely to determine what the text says explicitly and to make logical inferences from it; cite specific textual evidence when writing or speaking to support conclusions drawn from the text. “How do we learn about the past by reading different types of stories?”
CONSIDERING COLUMBUS’ “ENCOUNTER” WITH NATIVE AMERICANS FROM A TAINO BOY’S POINT OF VIEW DECIDING HOW NEW PERSPECTIVES INFLUENCE & CHANGE OUR OWN THINKING ABOUT THE PAST CCSS.ELA-Literacy.CCRA.R.8 CCSS.ELA-Literacy.CCRA.R.8 Delineate and evaluate the argument and specific claims in a text, including the validity of the reasoning as well as the relevance and sufficiency of the evidence “How do we learn about the past by reading different types of stories?”
Did you know that a story can be different depending on who is telling it? Did you ever wonder what the story of a Native American would sound like if they were telling it? How might that same story be different if a European told it? Today we are going to read a story that will help us answer some of these questions.
Encounter by Jane Yolen Reading Journals Laptops with internet access Crayons/Markers/Colored Pencils Pen/Pencil
An author writes from a certain perspective or point of view when telling a story. Point of view refers to who tells us a story and how it is told. What we know and how we feel about the events in a story are shaped by the author’s point of view. As we read Encounter, decide which point of view the author takes when telling the story. Ask yourself, “Why do you think the author is writing from this particular point of view?” Essential Question How do we learn about the past by reading different types of stories?
Have you ever experienced a situation when someone didn’t listen to you or believe what you were saying because they thought you were too young? Share your experience by writing a paragraph in your Reader Response Journals. Remember to explain the event and include how you felt.
Look at the illustrations on the cover of the book. Who are the people? What else do you notice about the illustrations? What do you think the title Encounter means? Based on the title and pictures, what do you think this story will be about?
Read pages 1-15 in Encounter. What items did the Taino tribe and the Europeans trade? Make a list of the items the Taino gave to the Europeans and then list the items the Europeans gave to the Taino. Click on the picture below to organize your information. Who are the Europeans? Check out this site to help you find the answer. Why do you think the Taino gave the Europeans valuable gifts but not did receive equal gifts in return? What were the Europeans most interested in? Click on the site below if you are unsure. MORE INFO ABOUT TAINO-COLUMBUS ENCOUNTER: html html
At one point in the story, the young boy goes to his Zemis and asks it for help. What is a Zemis? Visit this website to find out what it is and why it was used in the story. What is a Zemis? Why does the young Taino boy keep telling his people not to welcome the Europeans? Why is he so afraid?
Let’s check our prediction sheet to see if we need to make any changes now that we are reading the story. Answer the questions below to help you revisit and/or revise your original predictions. Who is the European’s leader? How do you know? Use information from the story to confirm or defend your predictions. Why do you think the author chose the title Encounter for this book? How has your original title prediction changed? So far are your predictions about the story accurate? What is different and why? Put a check mark next to your predictions that stayed the same.
Look closely at the picture on the last page. What do you notice about this picture? How is it different from the other pictures in the story? Consider the character, his facial expression, the setting and the background. CHOOSE ONE OF THE FOLLOWING ACTIVITIES TO EXPLORE THE DIFFERENT PERSPECTIVES SHARED IN ENCOUNTER: Using the information on the last page, write a letter that the old man would give to his children or grandchildren. The letter should include the following: 1. The lesson that the old man learned in the story. 2. His thoughts and feelings about Columbus and his men. 3. What the old man would do differently if he had the chance to relive the experience. 4. His hopes and dreams for future generations. OR:
Point of view refers to who tells us a story and how it is told. Now it’s your turn to become a character from the story and inform the reader of their point of view. Create an “I AM” poem from the point of view of one of the following: The old man Christopher Columbus One of the Europeans One of the Taino tribe Click here to write your “I Am” poem: OR am-poem.pdf
Create your own Zemis! The Zemis played an important role in the Taino culture and dream interpretation. You already researched what a Zemis is and why it was used in the story. Now it’s your turn to create a Zemis that you can turn to in time of need. Using the Artist’s Workshop format, research the websites below to construct a Zemis of your own. Remember to include a 3-4 sentence explanation of what you would use your Zemis for and how it can help you when you need advice. Create a Zemis Create a Zemis My own Zemis Click here to create! My own Zemis
Read the author’s note on the last page of Encounter. What are some questions you still have about Christopher Columbus or the Taino Tribe? Come up with 3 new questions you have about Columbus and 3 new questions about the Taino tribe. Visit the websites below to help you answer your questions. You can record your questions and answers in your Reader Response Journals. Christopher Columbus Taino Tribe
4 Advanced 3 Proficient 2 Basic Before Reading Building and Activating Background Knowledge Describes the situation in detail and includes an explanation of the event and personal feelings. Prediction is accurate, uses complete sentences and supports prediction with 2-3 pieces of evidence from text. Adequately describes the situation in detail and includes an explanation of the event and feelings. Prediction is accurate, uses complete sentences, but prediction may not be supported with evidence from the text. Briefly writes about the situation and may or may not include an explanation of the event and/or feelings. Prediction is somewhat accurate, does not use complete sentences and has insufficient or incorrect evidence from the text. During Reading Reading and Responding Lists 3-5 items on T-Chart Checks predictions and revises If necessary Researches info on the Zemis and explains what it is and why it is used in the story Lists 2-4 items on T-Chart Checks predictions and revises if necessary Researches info on the Zemis and briefly explains what it is or why it is used in the story Lists 1 or 2 items on T-Chart Does not check or revise predictions Researches info on the Zemis and lists 1 or 2 facts but does not explain what is it/why used After Reading Thinking more deeply and revisiting the text. Follows the steps of the letter generator, correctly formats letter, and includes all criteria for the body of the letter. Letter is organized with specific details. I AM poem is from a character’s point of view, uses descriptive words, and retells events from the story. Follows the steps of the letter generator, formats the letter, and includes some criteria for the body of the letter. Letter is organized with some specific details. I AM poem is from a character’s point of view and retells events from the story. Follows the steps of the letter generator, format of letter is incorrect or incomplete, and is missing most of the criteria for the letter. Letter is unorganized with mostly general details. I AM poem is not from a character’s point of view, contains no description or retelling of events. Beyond Reading Going beyond the text Zemis is creative and colorful including a 3-4 sentence description.-EXTRA CREDIT Generated a total of 6 questions about Columbus and the Taino tribe, including answers to the questions. Zemis is creative, contains some color, and includes a 2-3 sentence description.-EXTRA CRECIT Generated 3-6 questions about either Columbus or the Taino tribe, and included a few answers to the questions. Zemis is drawn and does not contain any color, along with an incomplete description. Listed 3 questions about Columbus and the Taino tribe. Did not include answers to the questions.
Encounter by Jane Yolen All Clip Art~ aspx?lc= enus Websites~
Encounter picture: